-- begin --
Below is crystalline MnNCl2 at its relaxed geometry, with properties calculated at the PBE level.

SG: Fm-3m (225)

abc: 4.1592 4.1592 4.1592
angles: 60.00 60.00 60.00
Sites, in units of the cell vectors:
N1 0.0000 0.0000 0.0000
Mn1 0.5000 0.5000 0.5000
Cl1 0.2500 0.2500 0.2500
Cl2 0.7500 0.7500 0.7500



Below is crystalline Ba2AgSn2 at its relaxed geometry, with properties calculated at the PBE level.

SG: P4/mbm (127)
Formation energy from the elements, kJ/mol of atoms: -22.01

abc: 9.3593 9.3593 4.8781
angles: 90.00 90.00 90.00
Sites, in units of the cell vectors:
Ba1 0.3119 0.8119 0.0000
Ba2 0.8119 0.6881 0.0000
Ba3 0.6881 0.1881 0.0000
Ba4 0.1881 0.3119 0.0000
Ag1 0.0000 0.0000 0.0000
Ag2 0.5000 0.5000 0.0000
Sn1 0.1033 0.6033 0.5000
Sn2 0.6033 0.8967 0.5000
Sn3 0.8967 0.3967 0.5000
Sn4 0.3967 0.1033 0.5000



Below is crystalline Rb3In2Te4 at its relaxed geometry, with properties calculated at the PBE level.

SG: C2/m (12)

abc: 5.1897 8.4158 11.3133
angles: 120.32 90.00 107.96
Sites, in units of the cell vectors:
Rb1 0.6241 0.2482 0.7419
Rb2 0.0000 0.0000 0.0000
Rb3 0.3759 0.7518 0.2581
In1 0.6837 0.3675 0.3524
In2 0.3163 0.6325 0.6476
Te1 0.6912 0.3824 0.1135
Te2 0.3088 0.6176 0.8865
Te3 0.8890 0.7779 0.5989
Te4 0.1110 0.2221 0.4011



Below is crystalline BaLiInAu at its relaxed geometry, with properties calculated at the PBE level.

SG: F-43m (216)
Formation energy from the elements, kJ/mol of atoms: -32.57

abc: 5.3248 5.3248 5.3248
angles: 60.00 60.00 60.00
Sites, in units of the cell vectors:
Li1 0.5000 0.5000 0.5000
Au1 0.0000 0.0000 0.0000
Ba1 0.7500 0.7500 0.7500
In1 0.2500 0.2500 0.2500



Below is crystalline Cs2Tl3AgBr6 at its relaxed geometry, with properties calculated at the PBE level.

SG: C2/m (12)

abc: 8.3971 8.3971 8.4277
angles: 99.92 99.92 120.20
Sites, in units of the cell vectors:
Cs1 0.3348 0.6652 0.0000
Cs2 0.6652 0.3348 0.0000
Tl1 0.1606 0.8394 0.5000
Tl2 0.8394 0.1606 0.5000
Tl3 0.5000 0.5000 0.5000
Ag1 0.0000 0.0000 0.0000
Br1 0.9282 0.6545 0.7712
Br2 0.7736 0.7736 0.2788
Br3 0.0718 0.3455 0.2288
Br4 0.6545 0.9282 0.7712
Br5 0.2264 0.2264 0.7212
Br6 0.3455 0.0718 0.2288



Below is crystalline Ce2TcBi at its relaxed geometry, with properties calculated at the PBE level.

SG: C2/m (12)
Formation energy from the elements, kJ/mol of atoms: -18.01

abc: 6.2953 6.1464 12.0686
angles: 91.37 90.00 90.00
Sites, in units of the cell vectors:
Ce1 0.7500 0.9883 0.9150
Ce2 0.2500 0.0117 0.0850
Ce3 0.7500 0.5117 0.5850
Ce4 0.2500 0.4883 0.4150
Ce5 0.7500 0.4295 0.1271
Ce6 0.2500 0.5705 0.8729
Ce7 0.7500 0.0705 0.3729
Ce8 0.2500 0.9295 0.6271
Tc1 0.2500 0.5435 0.6135
Tc2 0.7500 0.4565 0.3865
Tc3 0.2500 0.9565 0.8865
Tc4 0.7500 0.0435 0.1135
Bi1 0.2500 0.9837 0.3570
Bi2 0.7500 0.0163 0.6430
Bi3 0.2500 0.5163 0.1430
Bi4 0.7500 0.4837 0.8570



Below is crystalline Tb2ThPt3 at its relaxed geometry, with properties calculated at the PBE level.

SG: I4/mmm (139)
Formation energy from the elements, kJ/mol of atoms: -114.31

abc: 4.1280 4.1280 9.2159
angles: 102.95 102.95 89.97
Sites, in units of the cell vectors:
Tb1 0.1021 0.1031 0.2094
Tb2 0.7667 0.7678 0.5386
Th1 0.4340 0.4361 0.8740
Pt1 0.9340 0.9361 0.8740
Pt2 0.2683 0.2695 0.5419
Pt3 0.6004 0.6015 0.2060



Below is crystalline CsBaInCl6 at its relaxed geometry, with properties calculated at the PBE level.

SG: P-31c (163)

abc: 7.5962 7.5962 14.3175
angles: 90.00 90.00 120.00
Sites, in units of the cell vectors:
Cs1 0.0000 0.0000 0.0000
Cs2 0.0000 0.0000 0.5000
Ba1 0.3333 0.6667 0.2500
Ba2 0.6667 0.3333 0.7500
In1 0.6667 0.3333 0.2500
In2 0.3333 0.6667 0.7500
Cl1 0.6532 0.6010 0.1455
Cl2 0.9478 0.3468 0.1455
Cl3 0.3468 0.9478 0.6455
Cl4 0.0522 0.6532 0.8545
Cl5 0.3990 0.3468 0.3545
Cl6 0.9478 0.6010 0.3545
Cl7 0.6010 0.9478 0.8545
Cl8 0.6532 0.0522 0.3545
Cl9 0.0522 0.3990 0.6455
Cl10 0.3990 0.0522 0.1455
Cl11 0.6010 0.6532 0.6455
Cl12 0.3468 0.3990 0.8545



Raw total energy / eV/atom: -3.67, -3.17, -3.05, -2.80, -2.86, -6.72, -6.99, -3.63
-- stop --

Work out how many lines further up have the word "Cl5" in them; a number is enough.

1